Request.
The reader should count the lines further down that contain the word "Hg3" and give the number alone.

Input.
____________
(1)
This entry pairs a crystal structure of Ba2UBeSe5 with its simulated powder diffraction line list. Radiation: λ = 1.5418 Å (Cu Kα). Structure: a crystal structure in Alexandria, relaxed with PBE.

Main lines, by angle (10° ≤ 2θ ≤ 90°):
two_theta  I_rel
16.2  218
20.3  136
21.9  202
29.3  1000
29.7  308
34.8  374
41.3  118
42.7  193
52.9  122
53.0  129

Atomic structure:
```
data_Ba2UBeSe5
_cell_length_a 9.4882
_cell_length_b 9.4882
_cell_length_c 13.5562
_cell_angle_alpha 90.00
_cell_angle_beta 90.00
_cell_angle_gamma 154.21
_space_group_name_H-M_alt 'P 1'
_space_group_IT_number 1
loop_
_space_group_symop_operation_xyz
'x,y,z'
loop_
_atom_site_label
_atom_site_type_symbol
_atom_site_fract_x
_atom_site_fract_y
_atom_site_fract_z
Ba1 Ba 0.1186 0.8814 0.5000
Ba2 Ba 0.1202 0.8798 0.8566
Ba3 Ba 0.8798 0.1202 0.3566
Ba4 Ba 0.8814 0.1186 0.0000
U1 U 0.1922 0.8078 0.1875
U2 U 0.8078 0.1922 0.6875
Be1 Be 0.4350 0.5650 0.5796
Be2 Be 0.5650 0.4350 0.0796
Se1 Se 0.0424 0.9576 0.1667
Se2 Se 0.3049 0.6951 0.8289
Se3 Se 0.3125 0.6875 0.5419
Se4 Se 0.3422 0.6578 0.1787
Se5 Se 0.4955 0.5045 0.4415
Se6 Se 0.5045 0.4955 0.9415
Se7 Se 0.6578 0.3422 0.6787
Se8 Se 0.6875 0.3125 0.0419
Se9 Se 0.6951 0.3049 0.3289
Se10 Se 0.9576 0.0424 0.6667
```

=====

(2)
This entry pairs a crystal structure of Li2AcTiO4 with its simulated powder diffraction line list. Radiation: λ = 1.5418 Å (Cu Kα). Structure: a crystal structure in Alexandria, relaxed with PBE.

Main lines, by angle (10° ≤ 2θ ≤ 90°):
two_theta  I_rel
20.7  435
20.8  464
23.1  1000
25.6  265
34.8  779
39.1  245
39.4  258
42.0  229
42.3  471
54.6  251

Atomic structure:
```
data_Li2AcTiO4
_cell_length_a 5.1856
_cell_length_b 5.1856
_cell_length_c 5.1856
_cell_angle_alpha 117.15
_cell_angle_beta 116.40
_cell_angle_gamma 95.68
_space_group_name_H-M_alt 'P 1'
_space_group_IT_number 1
loop_
_space_group_symop_operation_xyz
'x,y,z'
loop_
_atom_site_label
_atom_site_type_symbol
_atom_site_fract_x
_atom_site_fract_y
_atom_site_fract_z
Li1 Li 0.2347 0.2347 0.0000
Li2 Li 0.7653 0.7653 0.0000
Ac1 Ac 0.0000 0.5000 0.5000
Ti1 Ti 0.5000 0.0000 0.5000
O1 O 0.1577 0.6175 0.1161
O2 O 0.4986 0.3825 0.5402
O3 O 0.5014 0.0416 0.8839
O4 O 0.8423 0.9584 0.4598
```

=====

(3)
This entry pairs a crystal structure of In3GaHg6 with its simulated powder diffraction line list. Radiation: λ = 1.5418 Å (Cu Kα). Structure: a crystal structure in Alexandria, relaxed with PBE.

Main lines, by angle (10° ≤ 2θ ≤ 90°):
two_theta  I_rel
29.8  1000
31.9  196
37.4  363
40.7  256
43.4  131
47.4  371
57.0  165
64.5  126
66.2  226
77.2  139

Atomic structure:
```
data_In3GaHg6
_cell_length_a 3.8373
_cell_length_b 3.8373
_cell_length_c 20.8539
_cell_angle_alpha 90.00
_cell_angle_beta 90.00
_cell_angle_gamma 120.00
_space_group_name_H-M_alt 'P 1'
_space_group_IT_number 1
loop_
_space_group_symop_operation_xyz
'x,y,z'
loop_
_atom_site_label
_atom_site_type_symbol
_atom_site_fract_x
_atom_site_fract_y
_atom_site_fract_z
In1 In 0.0000 0.0000 0.0000
In2 In 0.0000 0.0000 0.3071
In3 In 0.0000 0.0000 0.6929
Ga1 Ga 0.0000 0.0000 0.5000
Hg1 Hg 0.3333 0.6667 0.1033
Hg2 Hg 0.3333 0.6667 0.4117
Hg3 Hg 0.3333 0.6667 0.7957
Hg4 Hg 0.6667 0.3333 0.2043
Hg5 Hg 0.6667 0.3333 0.5883
Hg6 Hg 0.6667 0.3333 0.8967
```

=====

(4)
This entry pairs a crystal structure of PaInBi with its simulated powder diffraction line list. Radiation: λ = 1.5418 Å (Cu Kα). Structure: a crystal structure in Alexandria, relaxed with PBE.

Main lines, by angle (10° ≤ 2θ ≤ 90°):
two_theta  I_rel
28.5  529
30.4  741
30.7  495
35.3  1000
37.0  225
40.8  633
42.4  214
51.9  464
59.1  216
70.7  269

Atomic structure:
```
____________

Result.
1